~~~
ThSc2InHg4: relaxed, PBE-GGA.

Geometry as extended XYZ:
```
8
Lattice="4.8929 0.0000 0.0000 2.4465 4.2374 0.0000 2.4465 1.4125 9.4097" Properties=species:S:1:pos:R:3 pbc="T T T"
Th 0.0000 0.0000 0.0000
Sc 7.3394 4.2374 6.6696
Sc 2.4465 1.4125 2.7400
In 4.8929 2.8249 4.7048
Hg 4.8929 2.8249 7.9128
Hg 7.3394 4.2374 3.4404
Hg 2.4465 1.4125 5.9692
Hg 4.8929 2.8249 1.4969
```

Summary:
* E_tot: -3.26 eV/atom
* symmetry: R-3m
* energy of formation from the pure elements: -2.04 eV per formula unit


1.
Here is crystalline Ir2S2BrCl at its relaxed geometry from OQMD via LeMat-Bulk. Energies are from PBE-GGA.

Lattice parameters (Å, degrees): 3.586 4.642 8.556 90.00 90.00 90.00
Atoms (fractional coordinates):
Br  0.000  0.000  0.169
Cl  0.500  0.500  0.817
Ir  0.500  0.000  0.383
Ir  0.000  0.500  0.623
S  0.500  0.500  0.448
S  0.000  0.000  0.558

Output
The value obtained for the uncorrected energy is -5.297 eV per atom. The calculation puts the density at 6.575 g cm⁻³. As for the symmetry: Pmm2 (25). The size of the total moment comes out at 0.003 μB/f.u.

2.
Here is crystalline CsUTe at its relaxed geometry from OQMD via LeMat-Bulk. Energies are from PBE-GGA.

Lattice parameters (Å, degrees): 5.439 5.439 5.439 60.00 60.00 60.00
Atoms (fractional coordinates):
Cs  0.250  0.250  0.250
Te  0.750  0.750  0.750
U  0.000  0.000  0.000

Output
The calculation puts the density at 7.276 g cm⁻³. As for the symmetry: F-43m (216). The energy above the most stable polymorph in this dataset is 0 meV/atom. The size of the total moment comes out at 4.811 μB/f.u.

3.
Here is crystalline NbFeSnPt at its relaxed geometry from OQMD via LeMat-Bulk. Energies are from PBE-GGA.

Lattice parameters (Å, degrees): 4.549 4.549 4.549 60.00 60.00 60.00
Atoms (fractional coordinates):
Fe  0.750  0.750  0.750
Nb  0.500  0.500  0.500
Pt  0.250  0.250  0.250
Sn  0.000  0.000  0.000

Output
The calculation puts the density at 11.536 g cm⁻³. As for the symmetry: F-43m (216). The energy above the most stable polymorph in this dataset is 0 meV/atom. The size of the total moment comes out at 1.737 μB/f.u.

4.
Here is crystalline SiSb2Pd6 at its relaxed geometry from OQMD via LeMat-Bulk. Energies are from PBE-GGA.

Lattice parameters (Å, degrees): 7.005 7.005 3.533 90.00 90.00 120.00
Atoms (fractional coordinates):
Pd  0.753  0.000  0.000
Pd  0.247  0.247  0.000
Pd  0.000  0.753  0.000
Pd  0.377  0.000  0.500
Pd  0.000  0.377  0.500
Pd  0.623  0.623  0.500
Sb  0.667  0.333  0.000
Sb  0.333  0.667  0.000
Si  0.000  0.000  0.500

Output
The value obtained for the uncorrected energy is -5.513 eV per atom. The calculation puts the density at 10.066 g cm⁻³. As for the symmetry: P-62m (189).

5.
Here is crystalline TePd at its relaxed geometry from OQMD via LeMat-Bulk. Energies are from PBE-GGA.

Lattice parameters (Å, degrees): 3.965 3.965 5.724 90.00 90.00 90.00
Atoms (fractional coordinates):
Pd  0.000  0.000  0.000
Pd  0.500  0.500  0.000
Te  0.000  0.500  0.324
Te  0.500  0.000  0.676

Output
The value obtained for the uncorrected energy is -4.402 eV per atom. The calculation puts the density at 8.635 g cm⁻³. As for the symmetry: P4/nmm (129).

6.
Here is crystalline Na2DyLuO4 at its relaxed geometry from OQMD via LeMat-Bulk. Energies are from PBE-GGA.

Lattice parameters (Å, degrees): 13.922 13.922 3.181 94.37 94.37 153.60
Atoms (fractional coordinates):
Dy  0.737  0.263  0.000
Dy  0.263  0.737  0.000
Lu  0.608  0.392  0.000
Lu  0.392  0.608  0.000
Na  0.952  0.048  0.000
Na  0.852  0.148  0.000
Na  0.148  0.852  0.000
Na  0.048  0.952  0.000
O  0.472  0.063  0.307
O  0.063  0.472  0.307
O  0.365  0.187  0.364
O  0.187  0.365  0.364
O  0.813  0.635  0.636
O  0.635  0.813  0.636
O  0.937  0.528  0.693
O  0.528  0.937  0.693

Output
The calculation puts the density at 5.749 g cm⁻³. As for the symmetry: C2/m (12). The energy above the most stable polymorph in this dataset is 0 meV/atom. The size of the total moment comes out at 0.002 μB/f.u.

7.
~~~

What is needed: return everything earlier on without altering anything.

ThSc2InHg4: relaxed, PBE-GGA.

Geometry as extended XYZ:
```
8
Lattice="4.8929 0.0000 0.0000 2.4465 4.2374 0.0000 2.4465 1.4125 9.4097" Properties=species:S:1:pos:R:3 pbc="T T T"
Th 0.0000 0.0000 0.0000
Sc 7.3394 4.2374 6.6696
Sc 2.4465 1.4125 2.7400
In 4.8929 2.8249 4.7048
Hg 4.8929 2.8249 7.9128
Hg 7.3394 4.2374 3.4404
Hg 2.4465 1.4125 5.9692
Hg 4.8929 2.8249 1.4969
```

Summary:
* E_tot: -3.26 eV/atom
* symmetry: R-3m
* energy of formation from the pure elements: -2.04 eV per formula unit


1.
Here is crystalline Ir2S2BrCl at its relaxed geometry from OQMD via LeMat-Bulk. Energies are from PBE-GGA.

Lattice parameters (Å, degrees): 3.586 4.642 8.556 90.00 90.00 90.00
Atoms (fractional coordinates):
Br  0.000  0.000  0.169
Cl  0.500  0.500  0.817
Ir  0.500  0.000  0.383
Ir  0.000  0.500  0.623
S  0.500  0.500  0.448
S  0.000  0.000  0.558

Output
The value obtained for the uncorrected energy is -5.297 eV per atom. The calculation puts the density at 6.575 g cm⁻³. As for the symmetry: Pmm2 (25). The size of the total moment comes out at 0.003 μB/f.u.

2.
Here is crystalline CsUTe at its relaxed geometry from OQMD via LeMat-Bulk. Energies are from PBE-GGA.

Lattice parameters (Å, degrees): 5.439 5.439 5.439 60.00 60.00 60.00
Atoms (fractional coordinates):
Cs  0.250  0.250  0.250
Te  0.750  0.750  0.750
U  0.000  0.000  0.000

Output
The calculation puts the density at 7.276 g cm⁻³. As for the symmetry: F-43m (216). The energy above the most stable polymorph in this dataset is 0 meV/atom. The size of the total moment comes out at 4.811 μB/f.u.

3.
Here is crystalline NbFeSnPt at its relaxed geometry from OQMD via LeMat-Bulk. Energies are from PBE-GGA.

Lattice parameters (Å, degrees): 4.549 4.549 4.549 60.00 60.00 60.00
Atoms (fractional coordinates):
Fe  0.750  0.750  0.750
Nb  0.500  0.500  0.500
Pt  0.250  0.250  0.250
Sn  0.000  0.000  0.000

Output
The calculation puts the density at 11.536 g cm⁻³. As for the symmetry: F-43m (216). The energy above the most stable polymorph in this dataset is 0 meV/atom. The size of the total moment comes out at 1.737 μB/f.u.

4.
Here is crystalline SiSb2Pd6 at its relaxed geometry from OQMD via LeMat-Bulk. Energies are from PBE-GGA.

Lattice parameters (Å, degrees): 7.005 7.005 3.533 90.00 90.00 120.00
Atoms (fractional coordinates):
Pd  0.753  0.000  0.000
Pd  0.247  0.247  0.000
Pd  0.000  0.753  0.000
Pd  0.377  0.000  0.500
Pd  0.000  0.377  0.500
Pd  0.623  0.623  0.500
Sb  0.667  0.333  0.000
Sb  0.333  0.667  0.000
Si  0.000  0.000  0.500

Output
The value obtained for the uncorrected energy is -5.513 eV per atom. The calculation puts the density at 10.066 g cm⁻³. As for the symmetry: P-62m (189).

5.
Here is crystalline TePd at its relaxed geometry from OQMD via LeMat-Bulk. Energies are from PBE-GGA.

Lattice parameters (Å, degrees): 3.965 3.965 5.724 90.00 90.00 90.00
Atoms (fractional coordinates):
Pd  0.000  0.000  0.000
Pd  0.500  0.500  0.000
Te  0.000  0.500  0.324
Te  0.500  0.000  0.676

Output
The value obtained for the uncorrected energy is -4.402 eV per atom. The calculation puts the density at 8.635 g cm⁻³. As for the symmetry: P4/nmm (129).

6.
Here is crystalline Na2DyLuO4 at its relaxed geometry from OQMD via LeMat-Bulk. Energies are from PBE-GGA.

Lattice parameters (Å, degrees): 13.922 13.922 3.181 94.37 94.37 153.60
Atoms (fractional coordinates):
Dy  0.737  0.263  0.000
Dy  0.263  0.737  0.000
Lu  0.608  0.392  0.000
Lu  0.392  0.608  0.000
Na  0.952  0.048  0.000
Na  0.852  0.148  0.000
Na  0.148  0.852  0.000
Na  0.048  0.952  0.000
O  0.472  0.063  0.307
O  0.063  0.472  0.307
O  0.365  0.187  0.364
O  0.187  0.365  0.364
O  0.813  0.635  0.636
O  0.635  0.813  0.636
O  0.937  0.528  0.693
O  0.528  0.937  0.693

Output
The calculation puts the density at 5.749 g cm⁻³. As for the symmetry: C2/m (12). The energy above the most stable polymorph in this dataset is 0 meV/atom. The size of the total moment comes out at 0.002 μB/f.u.

7.